Thursday, December 18, 2008

No Longer Dreaming of a White Christmas

Before I get started here I just want to say that I look like an ABSOLUTE DORK with jingle bells on. I went to my favorite place to get a bath and run around on the farm and Carla (the dog groomer) thought it would be cute to put jingle bells on both me and Harley. Harley kind of looks like a reindeer and she is definitely as bright as a reindeer (reindeer are not smart...except Santa's of course). Anyway, the other night while we were sleeping we got snow. Our first real hefty snow. It is so beautiful. I enjoyed it for all of 30 seconds and that was enough for me. I can see it in all of its wonder right from our warm front window. Don't know about you but us Fishes...we're no longer dreaming of a white just came a week early.

Biter Biscuit

Ok. The kid had her first cookie! No, not Xmas cookies...a thing the humans call "biter biscuit". Personally, I think it tastes like a normal old milkbone dog treat but don't tell my mom that....I don't think she knows that I stole part of Cambria's cookie from her. I am a stealth weenie. Anyway, don't tell Harley either. I told her it tastes like oranges...she doesn't like oranges.

Lights B4 Christmas

Greetings from your canine pal in Ohio. Hope your holiday season is going well. We are having a lot of fun here. Just wanted to tell you about a little known secret in Toledo called "Lights Before Christmas". You see, my mom, dad and Cambria-baby went to the zoo the other night. I know, I thought it was weird to go to the zoo at night too...especially when it is 36 degrees outside. They didn't go to see the animals....well the living animals, anyway. They went to see an incredible light display that is throughout the zoo. Over 1 million lights to be exact. Who knew Toledo could be so cool!

Sunday, December 14, 2008

== Molecular data, as found in the file ==
┌──
{
  "formula": "C5H15N3",
  "method": "wB97M-V/def2-TZVPD",
  "species": ["N", "N", "N", "C", "C", "C", "C", "C", "H", "H", "H", "H", "H", "H", "H", "H", "H", "H", "H", "H", "H", "H", "H"],
  "xyz": [[1.536087, -0.091795, 2.012952], [1.739980, -0.176769, -2.265210], [1.135634, -0.902173, -1.209013], [0.895314, 0.682843, 0.980613], [-0.313800, -0.707141, -1.071106], [-0.756992, 0.092503, 0.129887], [-1.470039, 1.381480, -0.222438], [-1.535283, -0.752712, 1.111095], [1.642971, 1.253939, 0.422131], [2.585175, -0.655743, -2.563154], [0.436712, 1.530948, 1.497647], [1.158799, -0.043736, -3.087325], [-0.742505, -0.285685, -1.988799], [0.866384, -0.547839, 2.620598], [-2.512864, 1.201380, -0.495716], [-1.133634, -1.761693, 1.212194], [-0.969157, 1.883435, -1.049220], [-2.589665, -0.841592, 0.847370], [-0.690757, -1.736936, -1.040941], [2.157050, -0.796023, 1.631792], [1.524894, -0.467305, -0.225524], [-1.486320, 2.059465, 0.636736], [-1.477983, -0.318851, 2.115431]],
  "forces_ev_per_angstrom": [[0.0, -0.4, -0.5], [0.9, 1.3, -0.4], [0.9, 0.2, 3.1], [-3.0, 1.2, 1.0], [0.3, -0.9, -1.0], [2.9, 0.8, 1.0], [0.1, 0.1, 0.3], [0.5, 0.1, 0.8], [-0.1, -0.7, -0.8], [-0.4, -0.2, 0.0], [-0.4, -0.1, 0.2], [-0.2, -0.3, 0.4], [0.2, 0.1, 0.0], [0.1, 0.0, 0.0], [0.0, -0.1, -0.1], [0.1, 0.0, -0.2], [0.0, 0.1, 0.0], [0.0, 0.1, -0.1], [-0.4, 0.2, 0.2], [-0.1, -0.1, 0.2], [-1.1, -1.4, -3.9], [0.0, 0.0, -0.1], [-0.2, 0.1, 0.0]],
  "relative_energy_ev": 3.895
}

{
  "formula": "C5H15N3",
  "method": "wB97M-V/def2-TZVPD",
  "species": ["N", "N", "N", "C", "C", "C", "C", "C", "H", "H", "H", "H", "H", "H", "H", "H", "H", "H", "H", "H", "H", "H", "H"],
  "xyz": [[-0.608097, -3.019767, -1.490303], [0.070766, 3.303868, 0.911022], [0.106647, 0.400685, -0.278526], [1.218197, 2.465314, 0.427715], [-0.836760, -1.530519, 1.108320], [0.006108, -1.065835, -0.094431], [-0.655416, -1.543126, -1.404317], [0.883578, 1.009943, 0.830319], [0.270436, -3.433769, -1.219035], [-0.802512, 0.831366, -0.374715], [-0.292983, -1.110777, -2.342423], [-0.211467, -1.599648, 2.004438], [-0.916445, -3.321116, -2.401066], [1.329369, 2.487764, -0.667362], [0.182142, 4.270967, 0.616324], [1.677818, 0.388297, 1.202318], [0.207368, 1.170993, 1.668795], [2.120303, 2.832864, 0.931642], [-0.719579, 2.975097, 0.364677], [1.034974, -1.423304, 0.083970], [-1.765331, -1.392537, -1.267597], [-1.204782, -2.519354, 0.831912], [-1.700614, -0.891145, 1.309495]],
  "forces_ev_per_angstrom": [[-0.3, 0.2, 0.3], [0.4, -0.3, -0.8], [1.8, -0.9, 0.9], [-0.1, -0.1, 0.6], [0.4, -0.2, -0.3], [-1.0, 1.3, -0.9], [-0.9, -1.9, 0.7], [-1.9, 1.6, -0.5], [0.2, 0.1, -0.4], [-0.2, -0.1, 0.2], [0.1, 0.5, 0.5], [-0.3, 0.0, 0.0], [0.2, -0.3, 0.0], [0.2, 0.1, 0.3], [0.2, -0.1, 0.0], [0.6, -0.3, -0.5], [0.1, -0.3, 0.6], [-0.1, -0.1, -0.2], [-0.3, 0.2, 0.2], [-0.3, -0.1, -0.6], [1.0, 0.7, -0.4], [0.0, -0.1, 0.4], [0.1, 0.1, -0.1]],
  "smiles": "C[C@@H](CN)NCCN",
  "relative_energy_ev": 1.470
}

{
  "formula": "C5H15N3",
└──

Bad Hair Day

Besides busily writing Christmas cards and making sure all of the presents make it to California, Pennsylvania, Virginia and Arkansas my lil' friend Cambria-baby has had her second cold...ever. You wouldn't really know that she is sick because she has tons of energy except for the little snotty nose that keeps popping up. For a dog, this is good news...I won't say that I have been acting like her canine kleenex but ya know....dogs like little snooty noses. Anyway, the other day she had the worst of her cold and the worst hair I have seen to date. I think she was doing cartwheels in her sleep because when she woke up....she had crazy bad hair and it didn't go away until she had a bath that night. If you are ever short on a box of kleenex or need me to assess how your hair looks, you know who to call.

Baby It's Cold Outside

Greetings from your favorite weenie dog. Lately, we have had a flurry of activity in our house. My mom has been busy making a ton of yummy cookies, candies and cakes for the holidays. Luckily, a morsel or two drops to the floor and I get a tasty treat. Unfortunately has been pretty dreary and cold outside. I have taken to sleeping about 20 hours a day. The kid isn't as bed prone as me though. Poor thing....every time she goes out she has to get dressed up like the abominable snow man.

Friday, December 5, 2008

Dear Martin

So I am plotting a break from my house. You see, the kid is getting more and more attention these days. I have done a few tricks to get attention but it is not good enough for my mom. I have stolen two toys that belong to Cambria is the last two days. Gheez....What else is there to do when it is below freezing outside and even the squirrels have stayed in their trees. Anyway, you are probably wondering who Martin is. He is a full-size daschund that lives at Gayle's house (Erin's pal). Rumor has it that Gayle is coming to visit me next week and I think I am going to sneak into her purse so I can go live with Martin. a dear and make sure there is something warm for me to sleep on.

Monday, December 1, 2008

Turkey Weekend

How was your turkey day?  Well, mine was more than a day, it was a weekend.  We took a road trip to our house in Pennsylvania.  Harley and I (yes Dina, Harley is still alive) had quite a time chasing animals.  My mom was stupid enough to let me off of my leash and I got hot on the heels of a bunny rabbit.  Luckily Harley was there to help track me down in the snow.

Anyway, for Turkey Day we went to Grammie Carol's house and had dinner with Grandpa Roger, Uncle Durland, Auntie Shirley, Uncle Brian, Auntie BethAnn and my two cousins Kelsey and Tom. Oh...and let's not forget Grammie Carol's dog Char who does not like Harley.  It is great when we go to Grammie's house because she doesn't think Harley and I are dogs....she feeds us the people food that everyone else is enjoying. 

Have I told you lately how much I love turkey!

Peas & Carrots

Whew!  Wow...after all that turkey I wasn't sure if I could make it to the computer to send all of yall a message.  Harley and I have been having a great time tracking deer in Pennsylvania but I thought it was important to let you know what the kid has been up too.  

She has become quite a little eater and thus my new best friend. Lately, she has had sweet potatoes, bananas, carrots and peas.  I am so excited she is eating more than that glue tasting cereal.  To steal a line from Forrest Gump, "Cambria and I are becoming like peas and carrots". 

All By Myself

Greetings folks, Cambria here.  I have very exciting news.  I can SIT UP all by myself.  You got hands, no mom, no dad and no Frank.  Check out my new trick and my new Bambi shirt from Mom's favorite store, H&M.  Not only am I big enough to sit on my own but I grew a size too (6-9m).

Friday, November 21, 2008

Things R Just Bigger in Toledo

Over the past few days Mom's best friend Kelly came to the great state of Ohio with her 1-year old Andrew to visit.  We learned that things are just bigger here...if you know what I mean.  For example, you order an omelet it has 6 eggs instead of 3.  Oh, and the city rakes leaves with a bulldozer.  That's right, a bulldozer.  That is how many leaves fell in our neighborhood.  The pic above is the leaf pile just from our one square block.   You got it right, the pile is higher than the stop sign it is next to.

Green Beans

This is your favorite weenie, Frank.  Lately, I feel like a frozen weenie.  I didn't catch a squirrel this season.  They are finally fat enough to catch but it is just too darn cold to chase them.  I think I am going to become a bear for the winter...I am practicing by hibernating in my mom's bed all day.  Good idea, huh?
Anyway, enough about me.  The kid has recently started eating veggies.  She started with green beans.  I am not too sure if she really likes them.  I got a few and I thought they were TASTEY!  Next up on the veggie try-out list, sweet potatoes....mmm, mmm...good.

Wednesday, November 19, 2008

Fall Baby

Howdy folks, Cambria here.  Whew...I have had a few crazy weeks.  I flew to California, rocked the 50's at my Grandma Barbara and Grandpa Pat's birthday bash, saw my fav peeps- the LOBOS and then flew back to Ohio to find that ALL of the leaves had magically fallen off of all of the trees in 5 days and the weather went from high 60's to 18 degrees.  Yeap...18 whole degrees.  Good thing this baby took a few pics of the leaves before they fell.  Oh...and here are a few pics from my CRAZY week in CA, too.

Thursday, November 6, 2008


Howdy folks.  Life here in Ohio is great.  It has been 70 degrees the last few days and I am having a grand ole' time.  I know all of you have been wondering when I was finally going to post the pictures from Halloween.  Well, I am here to tell you...I was one hot hot dog.  Everyone says there is nothing cuter than a baby BUT I beg to differ.  For Halloween, I was a hot dog and again the hit of the neighborhood.  I have found that Ohioans have just as much of a sense of humor as Californians.  Actually, our neighborhood was hoppin' on Hallo-Wienie.  

Yeap.  I renamed the holiday after me.  That is how cute I was.

Now.  You are probably asking...what was the kid wearing.  In honor of her Auntie Val who thought her name should be "Star Fish" (instead of Cambria) she was a starfish.  It was such a big day that Cambria fell asleep while mom was handing out candy.  A big shout out to Grammy Carol for making her costume and coming to Ohio with Grandpa Roger for Hallo-Wienie.  It was a grand time.

Wednesday, November 5, 2008


Howdy, Cambria here.  Frank is busy doing something he is probably not supposed to do.  So, I took it upon myself to take over his blog for a few posts. 

Last week my Dad (Dave) took a day off of work to go to Gymboree with me and Mom.  We had SO much fun.  Dad even sang a few of the songs.  I think he likes the toys at Gymboree more than I do.

Wednesday, October 29, 2008

Doggie Paddle

Yesterday morning my mom (Erin) was all excited.  She pulled out a little blue swim suit and Cambria-baby's lime green track suit.  I hung around long enough to figure out that the little one was going to her very first swim class.  Now...the reason I was confused at first was because it was 27 degrees outside.  Who wants to go swimming when it is that cold.  As I stayed comfortably nestled in my parent's bed I also learned that I was not going to be the first to teach Cambria to doggie paddle.  Some retired lady from the University of Toledo was going to do the honors.
Now fast forward two hours.  
I hear my mom come in talking about how Cambria is truly a fish and Cambria went under the water and Cambria kicked her feet..blah...blah...blah.  But when I see Cambria-baby snuggled in her car seat after her first swim lesson she is SOUND asleep.  I guess she didn't realize that doggie paddling takes so much out of you.